精英家教网 > 初中英语 > 题目详情
Mr. King is a tall and strong man. He teaches P.E. in a middle school. He has a long beard (胡子)and takes care of it.
It was Sunday yesterday. There was a big football match of the year on the playground in the centre of the city. Mr. King likes the games very much and of course he was going to watch it. With his friends’ help he got a ticket a few days ago. After breakfast he hurried to the bus stop, but a lot of people were waiting there. A bus came. There were lots of people on it and it was difficult for them to put their feet. He had to grip(抓住)the back of the chair. At the next stop a boy got on the bus. He was short and couldn’t grip anything. Suddenly the bus stopped and the boy was likely to fall off. He looked around and saw Mr. King’s beard and gripped it. The man found it at once and called out,“Go off(松开)my beard, boy!”
“Are you going to get off, sir?”asked the boy.            
小题1:Mr. King is a _________.
小题2:Mr. King was going to watch the match because _________.
A.he teaches P.E. in a middle school
B.he likes football very much
C.he got a ticket
D.he didn’t go to work yesterday
小题3:It was difficult for Mr. King to stand because _________.
A.he had drunk too much
B.the bus was too small
C.he got on the bus too late
D.it was very crowded(拥挤的)on the bus
小题4:The boy gripped Mr. King’s beard because __________.
A.he was afraid to fall again
B.he wanted to make the man angry
C.he hoped the man to find a seat for him
D.he hoped the man to get off soon
小题5:Mr. King was afraid __________, so he shouted at him.
A.the boy would pull him down
B.the boy would hurt his beard
C.the boy could be hurt again
D.the boy would borrow his ticket


小题1:根据文章内容Mr. King is a tall and strong man. He teaches P.E. in a middle school.可知答案为C
小题2:根据文章内容第二段Mr. King likes the games very much and of course he was going to watch it.可知答案为B
小题3:根据文章内容There were lots of people on it and it was difficult for them to put their feet. He had to grip(抓住)the back of the chair.可知答案为C
小题4:根据文章内容He was short and couldn’t grip anything. Suddenly the bus stopped and the boy was likely to fall off. He looked around and saw Mr. King’s beard and gripped it.可知答案为A
小题5:根据文章内容The man found it at once and called out,“Go off(松开)my beard, boy!”和生活常识内容,可知答案为B

科目:初中英语 来源:不详 题型:阅读理解

-- Molecular data, kept here for reference --
<<<
1.
A cluster of 8 separate species, C38H100N8O11 in total. Source: the Open Molecules 2025 dataset; level of theory: the ωB97M-V functional and the def2-TZVPD basis.

The geometry in XYZ format:
```
157
Properties=species:S:1:pos:R:3
C 23.95 -13.45 -24.27
O 22.80 -14.30 -24.43
C 22.51 -15.15 -23.32
C 21.13 -15.81 -23.54
C 21.06 -16.55 -24.89
N 20.00 -14.92 -23.42
H 24.81 -14.01 -23.92
H 23.98 -12.63 -23.56
H 24.19 -13.18 -25.30
H 23.29 -15.90 -23.17
H 22.45 -14.50 -22.45
H 21.05 -16.44 -22.65
H 21.75 -17.38 -24.88
H 21.19 -15.93 -25.78
H 20.04 -16.92 -25.00
H 20.02 -14.16 -24.08
H 19.93 -14.46 -22.52
C 23.60 -24.51 -8.29
O 24.55 -24.78 -7.20
C 25.30 -25.98 -7.35
C 26.71 -25.77 -7.91
C 27.47 -27.10 -8.07
N 27.44 -24.95 -6.88
H 23.99 -24.89 -9.23
H 23.45 -23.43 -8.24
H 22.65 -24.90 -7.93
H 25.41 -26.28 -6.31
H 24.83 -26.83 -7.85
H 26.78 -25.30 -8.89
H 28.37 -26.97 -8.68
H 26.99 -27.89 -8.65
H 27.67 -27.49 -7.08
H 26.85 -24.24 -6.47
H 28.10 -24.42 -7.44
C 28.53 -21.44 -32.02
O 27.90 -21.50 -30.72
C 28.22 -22.71 -30.09
C 27.59 -22.55 -28.67
C 26.08 -22.25 -28.69
N 28.28 -21.46 -28.00
H 28.34 -20.46 -32.45
H 28.18 -22.17 -32.75
H 29.61 -21.54 -31.99
H 27.74 -23.60 -30.48
H 29.29 -22.89 -30.06
H 27.68 -23.46 -28.08
H 25.63 -22.61 -27.76
H 25.54 -22.66 -29.54
H 25.92 -21.19 -28.93
H 29.25 -21.68 -28.19
H 28.12 -20.77 -28.72
C 25.20 -21.53 -20.55
O 25.08 -21.66 -19.18
C 23.89 -22.30 -18.60
C 24.28 -22.41 -17.07
C 25.62 -23.05 -16.78
N 23.35 -23.29 -16.36
H 25.24 -22.43 -21.16
H 26.08 -20.93 -20.80
H 24.29 -21.04 -20.90
H 22.94 -21.79 -18.75
H 23.91 -23.32 -18.98
H 24.32 -21.46 -16.55
H 25.74 -23.24 -15.71
H 26.41 -22.37 -17.11
H 25.74 -23.99 -17.31
H 23.17 -24.07 -16.98
H 22.48 -22.80 -16.50
C 28.34 -17.88 -12.08
O 29.65 -18.42 -11.87
C 29.65 -19.42 -10.84
C 31.03 -19.74 -10.20
C 32.37 -19.28 -10.85
N 31.18 -21.14 -9.91
H 27.68 -18.69 -12.39
H 28.44 -17.25 -12.96
H 27.91 -17.26 -11.29
H 29.08 -19.20 -9.94
H 29.41 -20.29 -11.46
H 30.95 -19.26 -9.23
H 32.61 -19.55 -11.88
H 33.31 -19.49 -10.34
H 32.45 -18.20 -10.79
H 30.81 -21.52 -10.77
H 32.18 -21.28 -9.98
C 17.16 -18.59 -12.43
O 16.93 -19.75 -13.21
C 17.71 -20.89 -12.93
C 17.07 -22.06 -13.73
N 17.34 -22.02 -15.20
C 16.49 -22.82 -15.99
C 16.60 -24.31 -15.72
O 15.76 -25.08 -16.62
C 14.39 -25.06 -16.28
H 18.19 -18.54 -12.06
H 16.48 -18.51 -11.59
H 17.15 -17.63 -12.94
H 17.86 -21.03 -11.85
H 18.69 -20.68 -13.34
H 16.01 -22.00 -13.48
H 17.40 -23.06 -13.47
H 17.10 -21.07 -15.44
H 16.72 -22.49 -17.00
H 15.44 -22.57 -15.84
H 16.41 -24.63 -14.70
H 17.66 -24.57 -15.83
H 13.96 -24.07 -16.14
H 14.17 -25.64 -15.38
H 13.83 -25.49 -17.10
C 21.28 -29.96 -16.75
O 21.09 -29.75 -18.11
C 20.61 -30.88 -18.85
C 20.14 -30.36 -20.25
N 20.04 -31.45 -21.15
C 20.09 -31.05 -22.57
C 18.84 -30.24 -23.06
O 17.71 -31.14 -23.07
C 16.37 -30.54 -23.28
H 20.32 -29.98 -16.23
H 21.78 -29.05 -16.43
H 21.91 -30.81 -16.51
H 19.89 -31.52 -18.34
H 21.43 -31.59 -18.99
H 20.88 -29.61 -20.54
H 19.14 -29.96 -20.11
H 19.16 -31.93 -20.99
>>>
-- The text goes on --

Do you know what special birthday presents the German Chancellor Schroeder(德国总理施罗德)gave his mother?
In 1990, he took her to lunch in a Mercedes(奔驰)car for her 80th birthday.
Schroeder’s family was very poor when he was young. Once his grandma had to steal(偷)meat from their neighbors. That was the only way to give the family a good supper. His mother was very sad and cried about it. Young Schroeder held his mother in his arms and said, “Mom, one day I’ll take you out in a Mercedes.” Forty years later he made these words come true.
Schroeder gave the old lady a second special present ten years later.
His father died before he was born. He was killed in World War II. His family didn’t know where his grave(坟墓)was. So Schroeder gave his mother a map on her 90th birthday. This map was very special. It showed where his father’s grave was. The old lady smiled happily at the surprising gift. Then Chancellor held his mother in his arms and kissed her face.
小题1:Where did Schroeder take his mother to lunch for her 80th birthday?
A.In a big restaurant. B.In his office.
C.In a Mercedes car.D.At home.
小题2:When did Schroeder say he would take his mother out in a Mercedes?
A.In 1990.B.In 1950.C.In 2000.D.In 1948.
小题3:What special present did Schroeder give his mother for her 90th birthday?
A.A Mercedes car.B.A grave.
C.A very special map.D.A big cake.
小题4:Who killed his father?
A.The war.B.His grandfather.
C.A driver in a Mercedes.D.An earthquake.
小题5:What can we learn from the passage?
A.Schroeder’s family was rich when he was young.
B.Schroeder’s grandma liked stealing things very much.
C.Schroeder was very young when his father died.
D.Schroeder has a strong love for his mom.


科目:初中英语 来源:不详 题型:阅读理解

'''
{
  "formula": "C14H12BN8O4W",
  "method": "ωB97M-V/def2-TZVPD",
  "symbols": ["W", "C", "C", "N", "N", "C", "B", "N", "C", "C", "C", "N", "N", "C", "C", "C", "N", "N", "C", "C", "C", "N", "H", "H", "H", "H", "H", "H", "H", "H", "H", "H", "H", "H", "O", "C", "O", "C", "O", "O"],
  "positions_angstrom": [[0.526, -0.047, -0.176], [-1.147, -1.365, 3.272], [0.018, -0.835, 2.792], [-0.249, -0.065, 1.687], [-1.639, -0.120, 1.468], [-2.155, -0.917, 2.411], [-2.233, 0.678, 0.228], [-1.924, -0.228, -1.071], [-2.699, -1.121, -1.706], [-2.045, -1.610, -2.835], [-0.810, -1.008, -2.838], [-0.713, -0.150, -1.779], [-1.418, 1.981, 0.082], [-1.714, 3.283, 0.234], [-0.561, 4.049, 0.071], [0.450, 3.151, -0.169], [-0.063, 1.886, -0.155], [-3.736, 0.966, 0.343], [-4.568, 1.463, -0.540], [-5.841, 1.653, 0.117], [-5.605, 1.207, 1.462], [-4.385, 0.801, 1.611], [-1.274, -1.988, 4.146], [1.029, -0.916, 3.169], [-3.215, -1.106, 2.462], [-3.691, -1.359, -1.347], [-2.431, -2.314, -3.558], [0.011, -1.108, -3.535], [-2.717, 3.615, 0.460], [-0.482, 5.124, 0.125], [1.504, 3.319, -0.347], [-4.307, 1.684, -1.569], [-6.751, 2.039, -0.325], [-6.308, 1.181, 2.285], [1.413, -4.189, -0.242], [1.506, -3.027, -0.269], [0.674, -2.044, -0.168], [3.096, -2.651, -0.458], [4.192, -2.709, -0.606], [2.167, 0.100, -0.404]],
  "atomic_forces_ev_per_a": [[0.983, 0.629, -0.267], [0.020, 0.005, -0.005], [-0.036, 0.161, 0.080], [-0.102, -0.564, -0.455], [-0.093, -0.015, 0.100], [-0.023, 0.124, 0.079], [0.005, -0.111, -0.009], [-0.219, 0.069, -0.033], [-0.027, 0.071, -0.080], [-0.005, 0.007, 0.015], [-0.020, 0.135, -0.068], [-0.042, -0.469, 0.478], [-0.045, 0.123, -0.014], [0.015, -0.050, 0.017], [0.053, -0.006, -0.007], [0.029, 0.059, 0.017], [-0.028, -0.369, -0.004], [-0.011, -0.022, -0.003], [-0.003, -0.018, -0.009], [-0.003, -0.006, 0.002], [-0.001, 0.005, -0.003], [0.010, 0.029, 0.006], [-0.008, -0.002, -0.004], [-0.002, -0.018, -0.018], [-0.001, 0.024, 0.026], [-0.007, 0.014, -0.022], [-0.004, -0.002, 0.005], [0.011, -0.017, 0.019], [-0.003, 0.000, -0.006], [-0.003, 0.000, -0.001], [0.001, -0.006, -0.003], [-0.001, 0.004, 0.002], [0.001, 0.002, 0.000], [0.000, -0.001, 0.000], [-0.086, 0.155, -0.044], [-0.217, -0.574, 0.160], [0.207, 0.185, -0.061], [0.113, 0.125, -0.087], [-0.079, 0.020, 0.039], [-0.383, 0.301, 0.158]],
  "lowdin_spin": [0.000, 0.000, 0.000, 0.000, 0.000, 0.001, 0.008, 0.001, 0.000, 0.000, 0.000, 0.000, 0.003, 0.000, 0.000, 0.000, 0.001, 0.121, 0.206, 0.439, 0.041, 0.159, 0.000, 0.000, 0.000, 0.000, 0.000, 0.000, 0.000, 0.000, 0.000, 0.005, 0.015, -0.002, 0.000, 0.000, 0.000, 0.000, 0.000, 0.000],
  "lumo_energy_ev": [-16.182, -16.201],
  "s2": 0.757,
  "multiplicity": 2,
  "total_charge": 4,
  "e_tot_ha": -1370.009964,
  "orbital_gap_ev": [6.76, 6.74]
}



{
  "formula": "C6H10N2",
  "method": "ωB97M-V/def2-TZVPD",
  "symbols": ["C", "C", "C", "C", "N", "N", "C", "C", "H", "H", "H", "H", "H", "H", "H", "H", "H", "H"],
'''

Once a great boxer(拳击手),Tom Black, went to a restaurant for supper. He took off his coat and left it at the door, but he was afraid that somebody would take it away. So he took out a piece of paper and wrote on it,“The great boxer, Tom Black, has left his coat here.He’ll be back in a few minutes.”He put the paper on his coat and went to have his dinner. When he returned, however, his coat was not there. He just found a piece of paper in its place. It said,“A great runner has taken away you coat, and he will never come back again.”
小题1:Who was Tom Black?
A.A great runner.B.A great boxer.
C.A P.E. teacher.D.A great thinker.
小题2:This story happened ______.
A.in the morningB.in the afternoon
C.in the eveningD.at noon
小题3:He wrote his name on the paper and put it on the coat because he _____.
A.wanted all the people to know his name
B.wanted to be famous
C.was afraid other people would take his coat away
D.wanted to show he was a great boxer
小题4:What happened at last?
A.His coat was still there.B.Nobody saw the paper.
C.He found his coat.D.Someone took his coat.
小题5:Who wrote the second piece of paper?
A.The thief(小偷).B.Tom Black.
C.A waiter.D.Tom’s a friend.


科目:初中英语 来源:不详 题型:阅读理解

Do you hear the name--Rain? Yes, he is a popular star of South Korea. Rain's music teacher gave him that name. His real name is Jung Ji Hoon. The 27-year-old singer is very good at dancing, too. His eyes are bright and his smiles are sunny.
When he was a child. Rain was very quiet. But in Grade Six. Rain surprised all of his classmates. He danced for them. After the excellent dancing, everyone looked at him in a different way.
Rain's Songs sell well. and he acts in a few TV shows. Rain doesn't want to sing forever ."When I stop singing, I'd like to design(设计)clothes.Being a designer is my childhood dream."he said.
小题1:Where does Rain come from?
A.ChinaB.Japan.C.South Korea.D.America
小题2:Who gave him the name Rain?                        
A.His fatherB.His classmate.C.His teacherD.His mother.
小题3:Why did Rain surprise his classmates?
A.Because he was good at singing.B.Because he danced well.
C.Because he got a good mark.D.Because he worked hard.
小题4:What did Rain want to be when he was a child?
A.A singer.B.A dancer.C.A star.D.A designer.
小题5:What does the passage tell us?
A.Rain is a very popular starB.Rain is a popular designer
C.Rain was very active when he was a child.D.Rain will stop singing next


科目:初中英语 来源:不详 题型:阅读理解

Among the Seven Wonders of the Ancient World, the oldest one is the Great Pyramid of Giza. There are three large pyramids at Giza, outside the modern capital of Egypt, Cairo. The largest and most famous one is called the Great Pyramid. The workers built it as a tomb (坟墓) for the Pharaoh Khufu (法老胡夫).
It took more than twenty years to build the Great Pyramid. When it was built, the pyramid was about 146.5 metres high. Over the years it has lost about eight metres off its top.
The pyramid is made of large stone blocks (石块) — 2,300,000 of them! Each of these blocks weighs over 2,000 kilograms. The ancient Egyptians did not have any modern machines. How did they build the pyramid? The pyramid shows that the ancient people were intelligent and had great skills.
People once thought that the Egyptians made slaves (奴隶) do all the work on the Great Pyramid. But in fact, they used farmers.
小题1:From the passage we can learn that _____.
A.Giza is the modern capital of Egypt
B.there are only three pyramids in Egypt
C.the Pharaoh Khufu built the Great Pyramid by himself
D.the Great Pyramid was built (被建) as a tomb for the Pharaoh Khufu
小题2:According to the passage, the height of the Great Pyramid may be_____ metres now.
A.146.5B.138. 5C.154.5D.156. 5
小题3:What does the underlined word “intelligent” mean in Chinese?
小题4:In fact, the Egyptians used ____ to build the pyramid.
小题5:What is the writer’s purpose in writing this passage?
A.To invite people to visit the Great Pyramid.
B.To give information about the Great Pyramid.
C.To describe his or her trip to the Great Pyramid.
D.To tell how he or she feels about the Great Pyramid.

# Someone pasted molecular data at this point
Record 1
{"formula": "C4H7N2", "method": "wB97M-V/def2-TZVPD", "homo_energy_ev": -14.8, "de_lowest_kj_mol": 509.25, "total_charge": 1, "e_lumo_ev": -6.1918, "spin_multiplicity": 1, "elements": ["N", "N", "C", "C", "C", "C", "H", "H", "H", "H", "H", "H", "H"], "coordinates": [[2.199, 0.366, 0.369], [0.259, -0.652, -0.583], [1.188, -0.113, -0.136], [-2.269, -0.115, 0.892], [-2.429, -0.370, -0.451], [3.370, 0.638, -0.030], [4.144, 0.856, 0.740], [-2.390, 0.827, 1.462], [-2.674, 0.312, -1.170], [-2.370, -1.266, -0.991], [3.753, 1.016, -1.057], [-0.836, -0.498, -0.486], [-1.944, -0.999, 1.441]], "forces_ev_per_a": [[3.149, 0.333, 1.608], [0.004, 0.723, 0.245], [-2.817, -1.327, -2.255], [-0.124, -1.353, -1.856], [-0.218, 1.034, 3.135], [2.064, 2.644, -0.453], [-0.671, -0.478, -0.278], [0.058, -0.564, -0.920], [-0.886, 2.589, -1.243], [0.256, -2.058, 0.364], [-1.250, -1.458, 1.080], [0.615, -0.425, 0.143], [-0.180, 0.339, 0.429]]}

=====

Record 2
{"formula": "C2H5N3O", "method": "wB97M-V/def2-TZVPD", "homo_energy_ev": -8.5, "smiles": "C=NN/C=N/O", "de_lowest_kj_mol": 463.82, "e_lumo_ev": 0.9372, "spin_multiplicity": 1, "elements": ["O", "N", "N", "N", "C", "C", "H", "H", "H", "H", "H"], "coordinates": [[-2.475, -0.242, 0.038], [-1.148, -0.380, -0.032], [1.915, 0.148, 0.178], [0.843, 0.975, -0.101], [-0.477, 0.691, -0.086], [1.772, -1.112, -0.055], [-2.836, -1.173, 0.391], [2.724, -1.635, 0.075], [-0.978, 1.677, -0.029], [1.096, 1.992, 0.217], [0.750, -1.601, -0.427]], "forces_ev_per_a": [[-3.365, -2.075, 1.255], [3.404, -1.683, -0.126], [-0.776, -0.967, -0.875], [2.636, 2.029, 1.211], [-2.459, 2.098, 0.610], [-1.379, 0.279, -0.459], [1.426, 3.127, -1.324], [-0.667, -0.369, 0.023], [-0.414, -0.550, -0.213], [-0.924, -2.920, -0.977], [2.519, 1.029, 0.873]]}

=====

Record 3
{"formula": "C4H6O2", "method": "wB97M-V/def2-TZVPD", "homo_energy_ev": -10.1, "smiles": "O=C/C=C/CO", "de_lowest_kj_mol": 159.89, "e_lumo_ev": -0.1532, "spin_multiplicity": 1, "elements": ["O", "O", "C", "C", "C", "C", "H", "H", "H", "H", "H", "H"], "coordinates": [[1.487, -1.561, -0.116], [-1.382, 2.357, 0.908], [-0.656, 0.116, 0.559], [0.078, 0.326, -0.537], [0.841, -0.830, -1.141], [-1.395, 1.194, 1.247], [-0.724, -0.890, 0.970], [1.564, -0.506, -1.902], [1.871, -0.885, 0.458], [0.160, 1.333, -0.945], [0.141, -1.519, -1.629], [-1.986, 0.865, 2.128]], "forces_ev_per_a": [[0.234, 0.055, 0.111], [-0.021, -0.413, 0.152], [0.096, 0.012, -0.210], [-0.152, -0.068, 0.161], [-0.148, 0.146, -0.271], [-0.015, 0.345, -0.075], [-0.021, 0.165, 0.017], [-0.145, 0.102, 0.121], [0.104, -0.367, 0.076], [-0.089, -0.208, -0.032], [0.129, 0.103, 0.040], [0.029, 0.128, -0.091]]}

----------

(1)
Entry from the OMol25 dataset: a cluster of 2 separate species, C7H11N2O in total at a distorted geometry (the ωB97M-V functional and the def2-TZVPD basis).

```
! RIJCOSX wB97M-V def2-TZVPD def2/J DEFGRID3
* xyz 1 1
C -1.43 1.12 0.81
C -0.80 -0.86 0.17
C -2.06 -0.61 -0.42
C 1.71 1.92 -0.35
C 1.47 0.45 -0.77
# Back to the piece


科目:初中英语 来源:不详 题型:阅读理解

A man bought a donkey at the market one day and took him home. Now the man owned several donkeys already and he knew each one’s character very well. One of the donkeys was very strong and brave. Another always wanted to make people happy by working quickly but soon got tired. One donkey was very lazy. He hated going to work in the morning and he did as little as he       possibly could all day long. When the other animals were being loaded up(装载), he always tried to be the last so that he would get the lightest load.
The man led the new donkey into the yard. For a moment the new donkey stood sniffing(闻,嗅) at his new friends. Then, without hesitation, he came up to the lazy donkey and began eating comfortably at his side.
Though it was late in the day, the man immediately led the new donkey out of the yard, straight back to the market.
“You can’t have given him a fair trial yet,” said the seller, “It is only ten minutes since you bought him.”
“I don’t need to try him any more,” replied the man, “I know just what he is like from the friend he chose for himself. Take him away and give me my money back. I can do without donkeys like him.”
小题1:Why did the man buy a new donkey in the market?
A.Because he liked it.
B.Because he knew the donkey very well.
C.Because he needed another donkey to help him with his work.
D.Because the new donkey wasn’t lazy at all.
小题2:The man led the new donkey to the yard in order to _______.
A.see if he is lazy
B.let him choose a new friend
C.let the new donkey eat something
D.let him work
小题3:What’s the meaning of the underline phrase “without hesitation” ?
小题4:How did the man know the character of the new donkey?
A.By letting him work
B.By watching how he chose his new friend
C.By leading him to the yard
D.by pleasing people
小题5:What’s the best title of the story?
A.How To Buy DonkeysB.The Owner and The Donkeys
C.The lazy Donkey D. The Man and The Donkey


科目:初中英语 来源:不详 题型:阅读理解

John works in a market. It’s near a secondary school. Every day, students come to buy things there. In the morning, John gets up at six and then has breakfast. He goes to work by bike. He gets to the shop at about six thirty. The market opens at seven. They sell (出售)things like food and drinks. They have school things, too. So there are many people in their market from morning to evening. John has supper there. At seven in the evening the market is closed.
小题1:John works in a ___________.
A.  supermarket        B.  bookshop      C.  market
小题2:John _____________ to the shop every day.
A.  take a bus         B.  rides a bike  C.  walks
小题3:They sell___________ in the market.
A.  food and drinks    B.  school things  C.  A and B
小题4:John has supper____________.
A.  in the shop        B.  at home      C.  at a restaurant
小题5:John works for about_________ hours a day.
A.  six                B.  twelve        C.  eight


科目:初中英语 来源:不详 题型:阅读理解

Ellie lived with her six children in a small house. One winter, there was a big flood and quite a few houses were washed away, but Ellie’s house was high enough to keep them safe.
Many families lost everything in the flood. And Ellie took in one of the families. She shared her home with them until the family could build their own new house. Ellie’s friends could not understand why she did so because she already had so many children to look after.
“Well,” Ellie said to her friends, “At the end of World War I, there was a poor woman in a town in Germany. Her husband had been killed in the war and she had a lot of children, just like me now.”
“The day before Christmas, this woman said to her children, ‘We will not be able to have much for Christmas. I am going to get just one present for us all. Now I will go and get it.’ She came back with a little girl who had no parents, ‘Here is our present,’ she said to her own children.”
“The children were very excited to get such a present. They welcomed the little girl warmly, and she grew up as their sisters. I was that Christmas present.”
小题1:How many children did Ellie had in total?
小题2:What happened in the winter?
A.There was a flood.
B.There was an earthquake
C.There was a rain storm.
D.There was a fire.
小题3:What did Ellie do to help other families?
A.She gave them food.
B.She bought many Christmas present for them.
C.She took in one of the families.
D.She took in a girl.
小题4:What did the poor woman in German bring to her children for Christmas?
A.Many beautiful presents.B.Nothing.
C.A girl.D.A daddy.
小题5:What do we learn about Ellie in the passage?
A.She had no children.
B.Her husband was killed.
C.She had no parents.
D.She gave much money to others.


科目:初中英语 来源:不详 题型:阅读理解

It was Mother’s Day. A man stopped his car at a flower shop to order some flowers. He wanted the shopper to send the flowers to his mother, who lived two hundred miles away.
As he got out of his car, he found a young girl sitting on the road crying.
He asked her what was wrong and she replied,“I want to buy a red rose for my mother, but I only have seventy-five cents. A rose costs two dollars.”
The man smiled and said, “Come into the shop with me, and I’ll buy you a rose.’
He bought the little girl her rose and ordered his own mother’s flowers. As they were leaving, he offered to drive the girl home. She said, “Yes, please! You can take me to my mother.” She brought him to a cemetery(墓地), where she placed the rose on the grave.
The man was moved. He returned to the flower shop, picked up the flowers he ordered, and drove two hundred miles to his mother’s house.
Today is the day for your mother. Send a flower to your kind and beautiful mother.
小题1:The man went to the shop to ________.
A.have a restB.help the girlC.buy some foodD.order some flowers
小题2:The man’s mother lived ________ away from him.
A.2 kilometersB.75 milesC.200 milesD.200 kilometers
小题3:The girl was crying on the road because ________.
A.she was hungry
B.she got hurt
C.she couldn’t afford a rose
D.she couldn’t find her way home
小题4:After the man bought the girl a rose, they went to ________ together.
A.the cemeteryB.his shopC.the girl’s homeD.his mother’s house
小题5:We can learn from the passage that _________.
A.the girl loved flowers very much
B.the girl loved her mother very much
C.the shopkeeper sent the flowers to the man’s mother
D.the man drove to his mother’s house to look after her

